Excerpt:
+++
DFT (PBE-GGA) results for crystalline Na2Ti12O25 at its relaxed geometry.

a = 9.385 Å, b = 3.756 Å, c = 14.639 Å
α = 90.00°, β = 105.78°, γ = 90.00°
Space group P2/m (No. 10)
Symmetry-distinct sites (fractional):
Na 0.206 0.000 0.458 [2 per cell]
Ti 0.106 0.500 0.257 [2 per cell]
Ti 0.139 0.000 0.093 [2 per cell]
Ti 0.181 0.000 0.854 [2 per cell]
Ti 0.185 0.500 0.676 [2 per cell]
Ti 0.468 0.000 0.796 [2 per cell]
Ti 0.490 0.500 0.624 [2 per cell]
O 0.020 0.500 0.364 [2 per cell]
O 0.068 0.000 0.221 [2 per cell]
O 0.107 0.000 0.961 [2 per cell]
O 0.127 0.500 0.121 [2 per cell]
O 0.142 0.500 0.817 [2 per cell]
O 0.217 0.000 0.716 [2 per cell]
O 0.261 0.500 0.576 [2 per cell]
O 0.293 0.500 0.326 [2 per cell]
O 0.342 0.000 0.136 [2 per cell]
O 0.378 0.000 0.895 [2 per cell]
O 0.429 0.500 0.758 [2 per cell]
O 0.489 0.000 0.656 [2 per cell]
O 0.500 0.500 0.500 [1 per cell]

Computed properties:
Energy relative to the elements, eV per formula unit: -132.25
Offset from the most stable computed form, kJ/mol of formula units: 10

~~~~~

(1)
Density functional theory data (PBE) for crystalline Na6Al8Si3S9O48 at its relaxed geometry.

Geometry as POSCAR:
```
Na6Al8Si3S9O48
1.0
8.4202 0.0000 0.0000
-0.0070 14.6923 0.0000
-0.0335 -0.0817 21.7341
Na Al Si S O
18 24 9 27 144
direct
0.0000 0.0000 0.0000
0.9998 0.0007 0.5033
0.9998 0.3232 0.1696
0.1362 0.4908 0.2551
0.1361 0.8335 0.9135
0.3551 0.3328 0.4176
0.3556 0.9925 0.7466
0.4873 0.8303 0.6656
0.4900 0.4997 0.5015
0.4955 0.1634 0.8319
0.4993 0.1558 0.3349
0.5007 0.4990 0.9992
0.5049 0.8316 0.1713
0.6365 0.3334 0.9130
0.8518 0.8341 0.4170
0.9850 0.3285 0.6699
0.9911 0.6566 0.8318
0.9941 0.6648 0.3358
0.0010 0.6568 0.4822
0.0022 0.3308 0.5193
0.0050 0.3309 0.3165
0.0067 0.9922 0.8516
0.0119 0.9924 0.6479
0.4862 0.4917 0.3552
0.4875 0.4921 0.1514
0.4875 0.8329 0.0179
0.4878 0.8336 0.8132
0.4893 0.1563 0.9808
0.4913 0.1635 0.1906
0.4959 0.1485 0.4839
0.4992 0.8436 0.5227
0.5000 0.4917 0.6512
0.5007 0.1652 0.6848
0.5076 0.8381 0.3148
0.5093 0.4915 0.8503
0.9829 0.3388 0.8114
0.9844 0.9916 0.3536
0.9873 0.3316 0.0171
0.9875 0.9934 0.1533
0.9890 0.6705 0.1888
0.9896 0.6567 0.9809
0.9989 0.6646 0.6888
0.1354 0.4769 0.4183
0.1360 0.8459 0.7519
0.3481 0.0186 0.5869
0.3535 0.3469 0.2512
0.3527 0.9771 0.9176
0.6379 0.3474 0.7498
0.6391 0.9780 0.4180
0.8491 0.8498 0.2511
0.8531 0.4770 0.9184
0.1343 0.1433 0.7521
0.1362 0.1829 0.4180
0.1404 0.5187 0.0855
0.1409 0.8060 0.0837
0.2039 0.1624 0.0849
0.2105 0.4954 0.7510
0.2133 0.8292 0.4178
0.2775 0.3293 0.9185
0.2800 0.9952 0.2508
0.2861 0.6604 0.5852
0.3496 0.3077 0.5835
0.3542 0.6414 0.2502
0.3547 0.6831 0.9189
0.6340 0.6832 0.4188
0.6381 0.6402 0.7505
0.6403 0.0191 0.0852
0.6403 0.3055 0.0844
0.7030 0.6623 0.0847
0.7128 0.3296 0.4181
0.7163 0.9950 0.7516
0.7777 0.4952 0.2505
0.7775 0.8293 0.9188
0.7869 0.1643 0.5842
0.8500 0.5191 0.5853
0.8501 0.8031 0.5841
0.8518 0.1403 0.2508
0.8543 0.1830 0.9186
0.0572 0.5764 0.4264
0.0575 0.7465 0.7434
0.0588 0.1043 0.6968
0.0592 0.4327 0.3559
0.0609 0.2217 0.4735
0.0605 0.8891 0.8147
0.0693 0.2347 0.7618
0.0685 0.5596 0.1417
0.0686 0.7647 0.0275
0.0704 0.4265 0.0786
0.0713 0.8980 0.0899
0.0722 0.0912 0.4083
0.0994 0.7509 0.4252
0.1023 0.0801 0.0922
0.1021 0.5739 0.7435
0.1027 0.2448 0.0772
0.1103 0.2412 0.3630
0.1108 0.0841 0.8072
0.1116 0.5767 0.0312
0.1119 0.7477 0.1378
0.1140 0.9164 0.6958
0.1162 0.4068 0.4755
0.1162 0.9131 0.4117
0.1178 0.4105 0.7576
0.1558 0.0102 0.5913
0.1591 0.3379 0.2579
0.1586 0.9868 0.9112
0.1728 0.3146 0.5780
0.1775 0.6444 0.2412
0.1781 0.6796 0.9281
0.1811 0.3407 0.9754
0.1830 0.9835 0.1940
0.1837 0.0146 0.3058
0.1844 0.3097 0.8635
0.1862 0.6755 0.6402
0.1866 0.6444 0.5296
0.3026 0.1474 0.0294
0.3033 0.1775 0.1399
0.3060 0.8095 0.3616
0.3071 0.4833 0.6949
0.3075 0.5143 0.8068
0.3093 0.1486 0.7459
0.3098 0.8396 0.4735
0.3120 0.1807 0.4245
0.3166 0.5119 0.0907
0.3171 0.8123 0.0784
0.3299 0.4859 0.4115
0.3307 0.8378 0.7581
0.3694 0.9081 0.9763
0.3700 0.4167 0.1931
0.3727 0.9104 0.2567
+++
Brief:
Restate the listing further above without additions.
Outcome:
DFT (PBE-GGA) results for crystalline Na2Ti12O25 at its relaxed geometry.

a = 9.385 Å, b = 3.756 Å, c = 14.639 Å
α = 90.00°, β = 105.78°, γ = 90.00°
Space group P2/m (No. 10)
Symmetry-distinct sites (fractional):
Na 0.206 0.000 0.458 [2 per cell]
Ti 0.106 0.500 0.257 [2 per cell]
Ti 0.139 0.000 0.093 [2 per cell]
Ti 0.181 0.000 0.854 [2 per cell]
Ti 0.185 0.500 0.676 [2 per cell]
Ti 0.468 0.000 0.796 [2 per cell]
Ti 0.490 0.500 0.624 [2 per cell]
O 0.020 0.500 0.364 [2 per cell]
O 0.068 0.000 0.221 [2 per cell]
O 0.107 0.000 0.961 [2 per cell]
O 0.127 0.500 0.121 [2 per cell]
O 0.142 0.500 0.817 [2 per cell]
O 0.217 0.000 0.716 [2 per cell]
O 0.261 0.500 0.576 [2 per cell]
O 0.293 0.500 0.326 [2 per cell]
O 0.342 0.000 0.136 [2 per cell]
O 0.378 0.000 0.895 [2 per cell]
O 0.429 0.500 0.758 [2 per cell]
O 0.489 0.000 0.656 [2 per cell]
O 0.500 0.500 0.500 [1 per cell]

Computed properties:
Energy relative to the elements, eV per formula unit: -132.25
Offset from the most stable computed form, kJ/mol of formula units: 10

~~~~~

(1)
Density functional theory data (PBE) for crystalline Na6Al8Si3S9O48 at its relaxed geometry.

Geometry as POSCAR:
```
Na6Al8Si3S9O48
1.0
8.4202 0.0000 0.0000
-0.0070 14.6923 0.0000
-0.0335 -0.0817 21.7341
Na Al Si S O
18 24 9 27 144
direct
0.0000 0.0000 0.0000
0.9998 0.0007 0.5033
0.9998 0.3232 0.1696
0.1362 0.4908 0.2551
0.1361 0.8335 0.9135
0.3551 0.3328 0.4176
0.3556 0.9925 0.7466
0.4873 0.8303 0.6656
0.4900 0.4997 0.5015
0.4955 0.1634 0.8319
0.4993 0.1558 0.3349
0.5007 0.4990 0.9992
0.5049 0.8316 0.1713
0.6365 0.3334 0.9130
0.8518 0.8341 0.4170
0.9850 0.3285 0.6699
0.9911 0.6566 0.8318
0.9941 0.6648 0.3358
0.0010 0.6568 0.4822
0.0022 0.3308 0.5193
0.0050 0.3309 0.3165
0.0067 0.9922 0.8516
0.0119 0.9924 0.6479
0.4862 0.4917 0.3552
0.4875 0.4921 0.1514
0.4875 0.8329 0.0179
0.4878 0.8336 0.8132
0.4893 0.1563 0.9808
0.4913 0.1635 0.1906
0.4959 0.1485 0.4839
0.4992 0.8436 0.5227
0.5000 0.4917 0.6512
0.5007 0.1652 0.6848
0.5076 0.8381 0.3148
0.5093 0.4915 0.8503
0.9829 0.3388 0.8114
0.9844 0.9916 0.3536
0.9873 0.3316 0.0171
0.9875 0.9934 0.1533
0.9890 0.6705 0.1888
0.9896 0.6567 0.9809
0.9989 0.6646 0.6888
0.1354 0.4769 0.4183
0.1360 0.8459 0.7519
0.3481 0.0186 0.5869
0.3535 0.3469 0.2512
0.3527 0.9771 0.9176
0.6379 0.3474 0.7498
0.6391 0.9780 0.4180
0.8491 0.8498 0.2511
0.8531 0.4770 0.9184
0.1343 0.1433 0.7521
0.1362 0.1829 0.4180
0.1404 0.5187 0.0855
0.1409 0.8060 0.0837
0.2039 0.1624 0.0849
0.2105 0.4954 0.7510
0.2133 0.8292 0.4178
0.2775 0.3293 0.9185
0.2800 0.9952 0.2508
0.2861 0.6604 0.5852
0.3496 0.3077 0.5835
0.3542 0.6414 0.2502
0.3547 0.6831 0.9189
0.6340 0.6832 0.4188
0.6381 0.6402 0.7505
0.6403 0.0191 0.0852
0.6403 0.3055 0.0844
0.7030 0.6623 0.0847
0.7128 0.3296 0.4181
0.7163 0.9950 0.7516
0.7777 0.4952 0.2505
0.7775 0.8293 0.9188
0.7869 0.1643 0.5842
0.8500 0.5191 0.5853
0.8501 0.8031 0.5841
0.8518 0.1403 0.2508
0.8543 0.1830 0.9186
0.0572 0.5764 0.4264
0.0575 0.7465 0.7434
0.0588 0.1043 0.6968
0.0592 0.4327 0.3559
0.0609 0.2217 0.4735
0.0605 0.8891 0.8147
0.0693 0.2347 0.7618
0.0685 0.5596 0.1417
0.0686 0.7647 0.0275
0.0704 0.4265 0.0786
0.0713 0.8980 0.0899
0.0722 0.0912 0.4083
0.0994 0.7509 0.4252
0.1023 0.0801 0.0922
0.1021 0.5739 0.7435
0.1027 0.2448 0.0772
0.1103 0.2412 0.3630
0.1108 0.0841 0.8072
0.1116 0.5767 0.0312
0.1119 0.7477 0.1378
0.1140 0.9164 0.6958
0.1162 0.4068 0.4755
0.1162 0.9131 0.4117
0.1178 0.4105 0.7576
0.1558 0.0102 0.5913
0.1591 0.3379 0.2579
0.1586 0.9868 0.9112
0.1728 0.3146 0.5780
0.1775 0.6444 0.2412
0.1781 0.6796 0.9281
0.1811 0.3407 0.9754
0.1830 0.9835 0.1940
0.1837 0.0146 0.3058
0.1844 0.3097 0.8635
0.1862 0.6755 0.6402
0.1866 0.6444 0.5296
0.3026 0.1474 0.0294
0.3033 0.1775 0.1399
0.3060 0.8095 0.3616
0.3071 0.4833 0.6949
0.3075 0.5143 0.8068
0.3093 0.1486 0.7459
0.3098 0.8396 0.4735
0.3120 0.1807 0.4245
0.3166 0.5119 0.0907
0.3171 0.8123 0.0784
0.3299 0.4859 0.4115
0.3307 0.8378 0.7581
0.3694 0.9081 0.9763
0.3700 0.4167 0.1931
0.3727 0.9104 0.2567